### Activity
Repeat all of the notes below verbatim, please.
### Given
- - -
[1]
{
  "formula": "C23H33BrCoN7O5S2",
  "method": "ωB97M-V/def2-TZVPD",
  "species": ["Br", "Co", "S", "S", "O", "O", "O", "O", "O", "N", "N", "N", "N", "N", "N", "N", "C", "C", "C", "C", "C", "C", "C", "C", "C", "C", "C", "C", "C", "C", "C", "C", "C", "C", "C", "C", "C", "C", "C", "H", "H", "H", "H", "H", "H", "H", "H", "H", "H", "H", "H", "H", "H", "H", "H", "H", "H", "H", "H", "H", "H", "H", "H", "H", "H", "H", "H", "H", "H", "H", "H", "H"],
  "positions_angstrom": [[-2.90391, 0.53248, 1.48059], [0.44695, 0.22651, 0.30719], [3.04778, 2.90453, 2.18998], [-0.24859, 3.38434, 1.75733], [-1.53534, 3.08854, 2.30862], [0.21819, -0.81507, 2.17462], [-1.03230, -2.68885, 0.74007], [0.68615, 4.18437, 2.50476], [1.14976, -1.46256, -0.49620], [0.49310, 1.99287, 1.36662], [2.31619, 0.77746, 0.95957], [-1.44207, -0.17275, -0.74296], [-0.94260, 5.63287, -3.67185], [-0.18584, -1.76820, 4.16375], [1.85580, -3.39769, -1.34278], [0.92926, 1.51278, -1.50796], [-0.91900, -2.66758, 5.03797], [3.67719, 0.68510, 1.09516], [1.02290, -2.68989, -0.56973], [-2.66334, -0.18916, -0.23079], [-1.76949, 4.29928, -1.83934], [-0.33383, -1.69422, 2.83383], [0.59249, -0.74856, 4.85570], [1.79546, -4.84399, -1.51206], [-1.61699, 3.79993, -0.56030], [-1.29344, -0.67243, -1.97888], [0.01146, -3.48207, 0.25088], [0.46204, 4.99645, -0.33551], [2.94318, -2.71634, -2.03614], [-1.22392, -2.71976, 2.13348], [-0.80775, 5.16021, -2.38486], [4.24224, 1.73709, 1.72133], [-0.49659, 4.14072, 0.19022], [1.83345, 1.88558, 1.48284], [-2.05481, -1.76715, -4.10826], [0.30792, 5.50105, -1.61332], [-3.58917, -1.19735, -2.17552], [-2.31525, -1.20384, -2.74146], [-3.77117, -0.68136, -0.91148], [-0.42272, -4.27411, -0.36264], [-4.43423, -1.58900, -2.72801], [-1.86332, 5.61701, -4.07576], [-0.06764, -0.11437, 5.44959], [2.31148, -5.09652, -2.43492], [3.11503, -1.74709, -1.57938], [4.19719, -0.18101, 0.71633], [5.28334, 1.89070, 1.94496], [-1.07928, -3.73086, 2.52238], [0.89259, 1.09749, -2.43143], [-2.36967, 3.15502, -0.12671], [1.11700, -0.13686, 4.12946], [-2.64754, 4.04491, -2.42052], [2.28679, -5.36755, -0.69001], [1.31777, 5.27137, 0.26598], [-2.79431, -1.41121, -4.82459], [-1.63898, -2.10394, 5.63494], [-1.06827, -1.48405, -4.47149], [1.87851, 1.84123, -1.36648], [-0.39411, 6.43657, -3.92715], [0.32777, 2.33348, -1.52082], [0.77295, -5.19951, -1.60261], [-0.22366, -3.16360, 5.71656], [-4.74399, -0.64909, -0.44573], [-0.28576, -0.65698, -2.36910], [-1.45933, -3.42716, 4.48406], [3.84487, -3.32120, -1.95761], [2.70061, -2.57897, -3.09153], [-2.26262, -2.43493, 2.30793], [-2.11120, -2.85683, -4.09643], [0.57605, -3.97014, 1.05587], [1.04967, 6.17719, -2.01973], [1.30889, -1.23332, 5.51945]],
  "s_squared": 0.755,
  "orbital_gap_ev": [7.7469, 7.7560],
  "total_charge": 1,
  "e_above_lowest_ev": 0.066,
  "e_tot_ha": -6408.75329,
  "spin_multiplicity": 2
}

***

[2]
{
  "formula": "C23H33CoN6O4S4",
  "method": "ωB97M-V/def2-TZVPD",
  "species": ["Co", "S", "S", "S", "S", "O", "O", "O", "O", "N", "N", "N", "N", "N", "N", "C", "C", "C", "C", "C", "C", "C", "C", "C", "C", "C", "C", "C", "C", "C", "C", "C", "C", "C", "C", "C", "C", "C", "H", "H", "H", "H", "H", "H", "H", "H", "H", "H", "H", "H", "H", "H", "H", "H", "H", "H", "H", "H", "H", "H", "H", "H", "H", "H", "H", "H", "H", "H", "H", "H", "H"],
- - -
### Solution
[1]
{
  "formula": "C23H33BrCoN7O5S2",
  "method": "ωB97M-V/def2-TZVPD",
  "species": ["Br", "Co", "S", "S", "O", "O", "O", "O", "O", "N", "N", "N", "N", "N", "N", "N", "C", "C", "C", "C", "C", "C", "C", "C", "C", "C", "C", "C", "C", "C", "C", "C", "C", "C", "C", "C", "C", "C", "C", "H", "H", "H", "H", "H", "H", "H", "H", "H", "H", "H", "H", "H", "H", "H", "H", "H", "H", "H", "H", "H", "H", "H", "H", "H", "H", "H", "H", "H", "H", "H", "H", "H"],
  "positions_angstrom": [[-2.90391, 0.53248, 1.48059], [0.44695, 0.22651, 0.30719], [3.04778, 2.90453, 2.18998], [-0.24859, 3.38434, 1.75733], [-1.53534, 3.08854, 2.30862], [0.21819, -0.81507, 2.17462], [-1.03230, -2.68885, 0.74007], [0.68615, 4.18437, 2.50476], [1.14976, -1.46256, -0.49620], [0.49310, 1.99287, 1.36662], [2.31619, 0.77746, 0.95957], [-1.44207, -0.17275, -0.74296], [-0.94260, 5.63287, -3.67185], [-0.18584, -1.76820, 4.16375], [1.85580, -3.39769, -1.34278], [0.92926, 1.51278, -1.50796], [-0.91900, -2.66758, 5.03797], [3.67719, 0.68510, 1.09516], [1.02290, -2.68989, -0.56973], [-2.66334, -0.18916, -0.23079], [-1.76949, 4.29928, -1.83934], [-0.33383, -1.69422, 2.83383], [0.59249, -0.74856, 4.85570], [1.79546, -4.84399, -1.51206], [-1.61699, 3.79993, -0.56030], [-1.29344, -0.67243, -1.97888], [0.01146, -3.48207, 0.25088], [0.46204, 4.99645, -0.33551], [2.94318, -2.71634, -2.03614], [-1.22392, -2.71976, 2.13348], [-0.80775, 5.16021, -2.38486], [4.24224, 1.73709, 1.72133], [-0.49659, 4.14072, 0.19022], [1.83345, 1.88558, 1.48284], [-2.05481, -1.76715, -4.10826], [0.30792, 5.50105, -1.61332], [-3.58917, -1.19735, -2.17552], [-2.31525, -1.20384, -2.74146], [-3.77117, -0.68136, -0.91148], [-0.42272, -4.27411, -0.36264], [-4.43423, -1.58900, -2.72801], [-1.86332, 5.61701, -4.07576], [-0.06764, -0.11437, 5.44959], [2.31148, -5.09652, -2.43492], [3.11503, -1.74709, -1.57938], [4.19719, -0.18101, 0.71633], [5.28334, 1.89070, 1.94496], [-1.07928, -3.73086, 2.52238], [0.89259, 1.09749, -2.43143], [-2.36967, 3.15502, -0.12671], [1.11700, -0.13686, 4.12946], [-2.64754, 4.04491, -2.42052], [2.28679, -5.36755, -0.69001], [1.31777, 5.27137, 0.26598], [-2.79431, -1.41121, -4.82459], [-1.63898, -2.10394, 5.63494], [-1.06827, -1.48405, -4.47149], [1.87851, 1.84123, -1.36648], [-0.39411, 6.43657, -3.92715], [0.32777, 2.33348, -1.52082], [0.77295, -5.19951, -1.60261], [-0.22366, -3.16360, 5.71656], [-4.74399, -0.64909, -0.44573], [-0.28576, -0.65698, -2.36910], [-1.45933, -3.42716, 4.48406], [3.84487, -3.32120, -1.95761], [2.70061, -2.57897, -3.09153], [-2.26262, -2.43493, 2.30793], [-2.11120, -2.85683, -4.09643], [0.57605, -3.97014, 1.05587], [1.04967, 6.17719, -2.01973], [1.30889, -1.23332, 5.51945]],
  "s_squared": 0.755,
  "orbital_gap_ev": [7.7469, 7.7560],
  "total_charge": 1,
  "e_above_lowest_ev": 0.066,
  "e_tot_ha": -6408.75329,
  "spin_multiplicity": 2
}

***

[2]
{
  "formula": "C23H33CoN6O4S4",
  "method": "ωB97M-V/def2-TZVPD",
  "species": ["Co", "S", "S", "S", "S", "O", "O", "O", "O", "N", "N", "N", "N", "N", "N", "C", "C", "C", "C", "C", "C", "C", "C", "C", "C", "C", "C", "C", "C", "C", "C", "C", "C", "C", "C", "C", "C", "C", "H", "H", "H", "H", "H", "H", "H", "H", "H", "H", "H", "H", "H", "H", "H", "H", "H", "H", "H", "H", "H", "H", "H", "H", "H", "H", "H", "H", "H", "H", "H", "H", "H"],